Count the lines further below that contain the word "formation" and give the number alone, please.

........
Gd2MgS4 after structural relaxation, computed with PBEsol.

Output
The calculation puts the raw formation energy at -1.8767 eV/atom. For the theoretical density, the calculation gives 4.50 g cm⁻³. The calculation puts the total energy at -122.58 eV for the cell shown.

Structure (CIF):
```
data_Gd2MgS4
_chemical_formula_sum 'Gd4 Mg2 S8'
_symmetry_space_group_name_H-M 'P 1'
_symmetry_Int_Tables_number 1
_symmetry_space_group_name_Hall 'P 1'
_cell_length_a 7.873
_cell_length_b 7.873
_cell_length_c 7.873
_cell_angle_alpha 60.00
_cell_angle_beta 60.00
_cell_angle_gamma 60.00
loop_
_atom_site_label
_atom_site_fract_x
_atom_site_fract_y
_atom_site_fract_z
Gd1 0.000 0.000 0.000
Gd2 0.000 0.000 0.500
Gd3 0.000 0.500 0.000
Gd4 0.500 0.000 0.000
Mg1 0.375 0.375 0.375
Mg2 0.625 0.625 0.625
S1 0.237 0.754 0.754
S2 0.246 0.246 0.246
S3 0.246 0.246 0.763
S4 0.246 0.763 0.246
S5 0.754 0.237 0.754
S6 0.754 0.754 0.237
S7 0.754 0.754 0.754
S8 0.763 0.246 0.246
```
........

1